Job:
What is needed: retype everything further down unchanged.

Entries:
~~~
{"formula": "La3Mg4Cd2", "functional": "GGA-PBE", "state": "relaxed", "e_tot_ev_per_atom": -2.772, "ef_mev_per_atom": -218, "spacegroup": "C2/m (12)", "cell": [[-2.231, 1.384, 4.574], [3.519, -5.211, 0.253], [4.412, 8.703, -0.481]], "species": ["La", "La", "La", "Mg", "Mg", "Mg", "Mg", "Cd", "Cd"], "fractional_positions": [[0.663, 0.327, 0.666], [0.000, 0.000, 0.000], [0.337, 0.673, 0.334], [0.715, 0.430, 0.051], [0.285, 0.570, 0.949], [0.935, 0.871, 0.606], [0.065, 0.129, 0.394], [0.611, 0.222, 0.277], [0.389, 0.778, 0.723]]}

{"formula": "Ac2YGa", "functional": "GGA-PBE", "state": "relaxed", "relative_energy_mev_per_atom": 399, "e_tot_ev_per_atom": -4.195, "ef_mev_per_atom": 232, "spacegroup": "R-3m (166)", "cell": [[3.786, 0.000, 0.000], [1.893, 3.279, 0.000], [1.893, 1.093, 12.512]], "species": ["Y", "Ac", "Ac", "Ga"], "fractional_positions": [[0.500, 0.500, 0.500], [0.087, 0.087, 0.740], [0.913, 0.913, 0.260], [0.000, 0.000, 0.000]]}

{"formula": "BaNa3Pt", "functional": "GGA-PBE", "state": "relaxed", "relative_energy_mev_per_atom": 0, "e_tot_ev_per_atom": -2.348, "ef_mev_per_atom": 36, "spacegroup": "Pm-3m (221)", "cell": [[-0.043, -5.466, 1.200], [5.588, 0.022, 0.302], [-0.300, 1.201, 5.458]], "species": ["Na", "Na", "Na", "Ba", "Pt"], "fractional_positions": [[0.000, 0.500, 0.000], [0.000, 0.000, 0.500], [0.500, 0.000, 0.000], [0.500, 0.500, 0.500], [0.000, 0.000, 0.000]]}

{"formula": "PuScCuPb", "functional": "GGA-PBE", "state": "relaxed", "e_tot_ev_per_atom": -7.194, "ef_mev_per_atom": -77, "spacegroup": "F-43m (216)", "cell": [[-1.370, 4.160, -2.609], [0.250, 0.012, -5.092], [-4.284, -0.020, -2.762]], "species": ["Pb", "Sc", "Cu", "Pu"], "fractional_positions": [[0.750, 0.750, 0.750], [0.500, 0.500, 0.500], [0.250, 0.250, 0.250], [0.000, 0.000, 0.000]]}

~~~~~

# 1
CaLaIn (PBE-GGA, optimized geometry); E above lowest polymorph = 0.82 eV per formula unit; total magnetization = 0.0 μB/cell; energy of formation from the pure elements = -171 meV/atom; space-group type = P4/nmm
1.0
5.2005 0.0000 0.0000
0.0000 5.2005 0.0000
0.0000 0.0000 7.9965
Ca La In
2 2 2
Direct
0.2500 0.2500 0.2141 Ca
0.7500 0.7500 0.7859 Ca
0.2500 0.2500 0.7404 La
0.7500 0.7500 0.2596 La
0.2500 0.7500 0.5000 In
0.7500 0.2500 0.5000 In


# 2
Mg2ScTlH (PBE-GGA, optimized geometry); VASP energy = -16.26 eV for the cell shown; total magnetization = 0.0 μB/cell; space-group type = P4/mmm
1.0
4.4892 0.0000 0.0000
0.0000 4.4892 0.0000
0.0000 0.0000 4.3703
Mg Sc Tl H
2 1 1 1
Direct
0.0000 0.5000 0.0000 Mg
0.5000 0.0000 0.0000 Mg
0.0000 0.0000 0.5000 Sc
0.5000 0.5000 0.5000 Tl
0.0000 0.0000 0.0000 H

~~~~~

NaTmHgO3 | GGA-PBE | relaxed

a = 6.357 Å, b = 6.357 Å, c = 8.662 Å
α = 90.00°, β = 90.00°, γ = 147.96°
Atoms (fractional coordinates):
Na (0.153, 0.847, 0.750)
Na (0.847, 0.153, 0.250)
Tm (0.500, 0.500, 0.000)
Tm (0.500, 0.500, 0.500)
Hg (0.137, 0.863, 0.250)
Hg (0.863, 0.137, 0.750)
O (0.120, 0.880, 0.016)
O (0.120, 0.880, 0.484)
O (0.471, 0.529, 0.250)
O (0.529, 0.471, 0.750)
O (0.880, 0.120, 0.516)
O (0.880, 0.120, 0.984)

Results
space group	Cmcm, No. 63
total energy	-64.52	eV/cell
total magnetic moment	0.00	μB per atom
calculated density	7.9	g/cm3
~~~

Written answer:
{"formula": "La3Mg4Cd2", "functional": "GGA-PBE", "state": "relaxed", "e_tot_ev_per_atom": -2.772, "ef_mev_per_atom": -218, "spacegroup": "C2/m (12)", "cell": [[-2.231, 1.384, 4.574], [3.519, -5.211, 0.253], [4.412, 8.703, -0.481]], "species": ["La", "La", "La", "Mg", "Mg", "Mg", "Mg", "Cd", "Cd"], "fractional_positions": [[0.663, 0.327, 0.666], [0.000, 0.000, 0.000], [0.337, 0.673, 0.334], [0.715, 0.430, 0.051], [0.285, 0.570, 0.949], [0.935, 0.871, 0.606], [0.065, 0.129, 0.394], [0.611, 0.222, 0.277], [0.389, 0.778, 0.723]]}

{"formula": "Ac2YGa", "functional": "GGA-PBE", "state": "relaxed", "relative_energy_mev_per_atom": 399, "e_tot_ev_per_atom": -4.195, "ef_mev_per_atom": 232, "spacegroup": "R-3m (166)", "cell": [[3.786, 0.000, 0.000], [1.893, 3.279, 0.000], [1.893, 1.093, 12.512]], "species": ["Y", "Ac", "Ac", "Ga"], "fractional_positions": [[0.500, 0.500, 0.500], [0.087, 0.087, 0.740], [0.913, 0.913, 0.260], [0.000, 0.000, 0.000]]}

{"formula": "BaNa3Pt", "functional": "GGA-PBE", "state": "relaxed", "relative_energy_mev_per_atom": 0, "e_tot_ev_per_atom": -2.348, "ef_mev_per_atom": 36, "spacegroup": "Pm-3m (221)", "cell": [[-0.043, -5.466, 1.200], [5.588, 0.022, 0.302], [-0.300, 1.201, 5.458]], "species": ["Na", "Na", "Na", "Ba", "Pt"], "fractional_positions": [[0.000, 0.500, 0.000], [0.000, 0.000, 0.500], [0.500, 0.000, 0.000], [0.500, 0.500, 0.500], [0.000, 0.000, 0.000]]}

{"formula": "PuScCuPb", "functional": "GGA-PBE", "state": "relaxed", "e_tot_ev_per_atom": -7.194, "ef_mev_per_atom": -77, "spacegroup": "F-43m (216)", "cell": [[-1.370, 4.160, -2.609], [0.250, 0.012, -5.092], [-4.284, -0.020, -2.762]], "species": ["Pb", "Sc", "Cu", "Pu"], "fractional_positions": [[0.750, 0.750, 0.750], [0.500, 0.500, 0.500], [0.250, 0.250, 0.250], [0.000, 0.000, 0.000]]}

~~~~~

# 1
CaLaIn (PBE-GGA, optimized geometry); E above lowest polymorph = 0.82 eV per formula unit; total magnetization = 0.0 μB/cell; energy of formation from the pure elements = -171 meV/atom; space-group type = P4/nmm
1.0
5.2005 0.0000 0.0000
0.0000 5.2005 0.0000
0.0000 0.0000 7.9965
Ca La In
2 2 2
Direct
0.2500 0.2500 0.2141 Ca
0.7500 0.7500 0.7859 Ca
0.2500 0.2500 0.7404 La
0.7500 0.7500 0.2596 La
0.2500 0.7500 0.5000 In
0.7500 0.2500 0.5000 In


# 2
Mg2ScTlH (PBE-GGA, optimized geometry); VASP energy = -16.26 eV for the cell shown; total magnetization = 0.0 μB/cell; space-group type = P4/mmm
1.0
4.4892 0.0000 0.0000
0.0000 4.4892 0.0000
0.0000 0.0000 4.3703
Mg Sc Tl H
2 1 1 1
Direct
0.0000 0.5000 0.0000 Mg
0.5000 0.0000 0.0000 Mg
0.0000 0.0000 0.5000 Sc
0.5000 0.5000 0.5000 Tl
0.0000 0.0000 0.0000 H

~~~~~

NaTmHgO3 | GGA-PBE | relaxed

a = 6.357 Å, b = 6.357 Å, c = 8.662 Å
α = 90.00°, β = 90.00°, γ = 147.96°
Atoms (fractional coordinates):
Na (0.153, 0.847, 0.750)
Na (0.847, 0.153, 0.250)
Tm (0.500, 0.500, 0.000)
Tm (0.500, 0.500, 0.500)
Hg (0.137, 0.863, 0.250)
Hg (0.863, 0.137, 0.750)
O (0.120, 0.880, 0.016)
O (0.120, 0.880, 0.484)
O (0.471, 0.529, 0.250)
O (0.529, 0.471, 0.750)
O (0.880, 0.120, 0.516)
O (0.880, 0.120, 0.984)

Results
space group	Cmcm, No. 63
total energy	-64.52	eV/cell
total magnetic moment	0.00	μB per atom
calculated density	7.9	g/cm3